Please copy the lines further down from the line with "0.6368 0.4382" to the end unchanged.
┌──
FeCoAs4 | PBE | optimized geometry

Unit cell a=2.9697 b=5.2207 c=5.9420 alpha=89.94 beta=90.00 gamma=90.00
Atoms (fractional coordinates):
As  0.5000  0.3171  0.1373
As  0.5000  0.6829  0.8627
As  0.0000  0.1820  0.6391
As  0.0000  0.8180  0.3609
Fe  0.0000  0.0000  0.0000
Co  0.5000  0.5000  0.5000

**Crystal system**: monoclinic
**Formation enthalpy at 0 K**: -284 meV/atom
**Calculated total energy**: -5.99 eV per atom
**Space group**: P2/m

~~~~~

# Bi2Te2O7 (PBE-GGA, relaxed)
data_Bi2Te2O7
_space_group_name_H-M_alt 'P 1'
_space_group_IT_number 1
_cell_length_a 5.6179
_cell_length_b 22.3935
_cell_length_c 22.9238
_cell_angle_alpha 90.00
_cell_angle_beta 90.00
_cell_angle_gamma 90.00
loop_
_space_group_symop_operation_xyz
'x,y,z'
loop_
_atom_site_label
_atom_site_type_symbol
_atom_site_fract_x
_atom_site_fract_y
_atom_site_fract_z
O1 O 0.2821 0.1425 0.9738
O2 O 0.6382 0.0782 0.6376
O3 O 0.8632 0.9382 0.6439
O4 O 0.7056 0.6226 0.7582
O5 O 0.7054 0.9959 0.7384
O6 O 0.6888 0.7257 0.8750
O7 O 0.1382 0.4218 0.1376
O8 O 0.3632 0.9382 0.8561
O9 O 0.7553 0.4908 0.4694
O10 O 0.8139 0.5052 0.1014
O11 O 0.7944 0.3774 0.2582
O12 O 0.7553 0.0092 0.5306
O13 O 0.6808 0.7760 0.6313
O14 O 0.7880 0.7552 0.2507
O15 O 0.7880 0.7448 0.7493
O16 O 0.2179 0.8575 0.4738
O17 O 0.8618 0.9218 0.1376
O18 O 0.1888 0.7257 0.6250
O19 O 0.1808 0.7240 0.1313
O20 O 0.7447 0.5092 0.9694
O21 O 0.6368 0.0618 0.1439
O22 O 0.8464 0.8687 0.3822
O23 O 0.8192 0.2760 0.8687
O24 O 0.3121 0.8635 0.6072
O25 O 0.8192 0.2240 0.1313
O26 O 0.8618 0.5782 0.8624
O27 O 0.6861 0.0052 0.3986
O28 O 0.8031 0.1327 0.2332
O29 O 0.6969 0.8673 0.7332
O30 O 0.8121 0.8635 0.8928
O31 O 0.6368 0.4382 0.8561
O32 O 0.3618 0.5782 0.6376
O33 O 0.3464 0.8687 0.1178
O34 O 0.1536 0.1313 0.6178
O35 O 0.3192 0.2760 0.6313
O36 O 0.6861 0.4948 0.6014
O37 O 0.8112 0.2257 0.6250
O38 O 0.6808 0.7240 0.3687
O39 O 0.3112 0.2743 0.1250
O40 O 0.1969 0.8673 0.7668
O41 O 0.3632 0.5618 0.1439
O42 O 0.1879 0.1365 0.1072
O43 O 0.7179 0.8575 0.0262
O44 O 0.7946 0.0041 0.2384
O45 O 0.6536 0.1313 0.8822
O46 O 0.2120 0.2448 0.7493
O47 O 0.7447 0.9908 0.0306
O48 O 0.3112 0.2257 0.8750
O49 O 0.2120 0.2552 0.2507
O50 O 0.2880 0.7552 0.2493
O51 O 0.7946 0.4959 0.7616
O52 O 0.2054 0.9959 0.7616
O53 O 0.1888 0.7743 0.3750
O54 O 0.3139 0.9948 0.6014
O55 O 0.8112 0.2743 0.3750
O56 O 0.6969 0.6327 0.2668
O57 O 0.2553 0.0092 0.9694
O58 O 0.7561 0.3566 0.9654
O59 O 0.7439 0.6434 0.4654
O60 O 0.8632 0.5618 0.3561
O61 O 0.8139 0.9948 0.8986
O62 O 0.7561 0.1434 0.0346
O63 O 0.2056 0.6226 0.7418
O64 O 0.7439 0.8566 0.5346
O65 O 0.1368 0.0618 0.3561
O66 O 0.2946 0.4959 0.7384
O67 O 0.6382 0.4218 0.3624
O68 O 0.3618 0.9218 0.3624
O69 O 0.7120 0.2552 0.2493
O70 O 0.2944 0.1226 0.7582
O71 O 0.7056 0.8774 0.2418
O72 O 0.1536 0.3687 0.3822
O73 O 0.6536 0.3687 0.1178
O74 O 0.1861 0.4948 0.8986
O75 O 0.2821 0.3575 0.0262
O76 O 0.1368 0.4382 0.6439
O77 O 0.1861 0.0052 0.1014
O78 O 0.2179 0.6425 0.5262
O79 O 0.7120 0.2448 0.7507
O80 O 0.3031 0.1327 0.2668
O81 O 0.3464 0.6313 0.8822
O82 O 0.3121 0.6365 0.3928
O83 O 0.2553 0.4908 0.0306
O84 O 0.2561 0.1434 0.4654
O85 O 0.3031 0.3673 0.7332
O86 O 0.2880 0.7448 0.7507
O87 O 0.7821 0.3575 0.4738
O88 O 0.7054 0.5041 0.2616
O89 O 0.2439 0.8566 0.9654
O90 O 0.2439 0.6434 0.0346
O91 O 0.6888 0.7743 0.1250
O92 O 0.7944 0.1226 0.7418
O93 O 0.8464 0.6313 0.6178
O94 O 0.1879 0.3635 0.8928
O95 O 0.1969 0.6327 0.2332
O96 O 0.6879 0.1365 0.3928
O97 O 0.2447 0.9908 0.4694
O98 O 0.8031 0.3673 0.7668
O99 O 0.2561 0.3566 0.5346
O100 O 0.8121 0.6365 0.1072
O101 O 0.2447 0.5092 0.5306
O102 O 0.3139 0.5052 0.3986
O103 O 0.2054 0.5041 0.2384
O104 O 0.1808 0.7760 0.8687
O105 O 0.2944 0.3774 0.2418
O106 O 0.1382 0.0782 0.8624
O107 O 0.7179 0.6425 0.9738
O108 O 0.7821 0.1425 0.5262
O109 O 0.2946 0.0041 0.2616
O110 O 0.6879 0.3635 0.6072
O111 O 0.2056 0.8774 0.2582
O112 O 0.3192 0.2240 0.3687
Te1 Te 0.5001 0.9433 0.4359
Te2 Te 0.4959 0.3067 0.5664
Te3 Te 0.0120 0.3115 0.4326
Te4 Te 0.4241 0.0661 0.3114
└──
O31 O 0.6368 0.4382 0.8561
O32 O 0.3618 0.5782 0.6376
O33 O 0.3464 0.8687 0.1178
O34 O 0.1536 0.1313 0.6178
O35 O 0.3192 0.2760 0.6313
O36 O 0.6861 0.4948 0.6014
O37 O 0.8112 0.2257 0.6250
O38 O 0.6808 0.7240 0.3687
O39 O 0.3112 0.2743 0.1250
O40 O 0.1969 0.8673 0.7668
O41 O 0.3632 0.5618 0.1439
O42 O 0.1879 0.1365 0.1072
O43 O 0.7179 0.8575 0.0262
O44 O 0.7946 0.0041 0.2384
O45 O 0.6536 0.1313 0.8822
O46 O 0.2120 0.2448 0.7493
O47 O 0.7447 0.9908 0.0306
O48 O 0.3112 0.2257 0.8750
O49 O 0.2120 0.2552 0.2507
O50 O 0.2880 0.7552 0.2493
O51 O 0.7946 0.4959 0.7616
O52 O 0.2054 0.9959 0.7616
O53 O 0.1888 0.7743 0.3750
O54 O 0.3139 0.9948 0.6014
O55 O 0.8112 0.2743 0.3750
O56 O 0.6969 0.6327 0.2668
O57 O 0.2553 0.0092 0.9694
O58 O 0.7561 0.3566 0.9654
O59 O 0.7439 0.6434 0.4654
O60 O 0.8632 0.5618 0.3561
O61 O 0.8139 0.9948 0.8986
O62 O 0.7561 0.1434 0.0346
O63 O 0.2056 0.6226 0.7418
O64 O 0.7439 0.8566 0.5346
O65 O 0.1368 0.0618 0.3561
O66 O 0.2946 0.4959 0.7384
O67 O 0.6382 0.4218 0.3624
O68 O 0.3618 0.9218 0.3624
O69 O 0.7120 0.2552 0.2493
O70 O 0.2944 0.1226 0.7582
O71 O 0.7056 0.8774 0.2418
O72 O 0.1536 0.3687 0.3822
O73 O 0.6536 0.3687 0.1178
O74 O 0.1861 0.4948 0.8986
O75 O 0.2821 0.3575 0.0262
O76 O 0.1368 0.4382 0.6439
O77 O 0.1861 0.0052 0.1014
O78 O 0.2179 0.6425 0.5262
O79 O 0.7120 0.2448 0.7507
O80 O 0.3031 0.1327 0.2668
O81 O 0.3464 0.6313 0.8822
O82 O 0.3121 0.6365 0.3928
O83 O 0.2553 0.4908 0.0306
O84 O 0.2561 0.1434 0.4654
O85 O 0.3031 0.3673 0.7332
O86 O 0.2880 0.7448 0.7507
O87 O 0.7821 0.3575 0.4738
O88 O 0.7054 0.5041 0.2616
O89 O 0.2439 0.8566 0.9654
O90 O 0.2439 0.6434 0.0346
O91 O 0.6888 0.7743 0.1250
O92 O 0.7944 0.1226 0.7418
O93 O 0.8464 0.6313 0.6178
O94 O 0.1879 0.3635 0.8928
O95 O 0.1969 0.6327 0.2332
O96 O 0.6879 0.1365 0.3928
O97 O 0.2447 0.9908 0.4694
O98 O 0.8031 0.3673 0.7668
O99 O 0.2561 0.3566 0.5346
O100 O 0.8121 0.6365 0.1072
O101 O 0.2447 0.5092 0.5306
O102 O 0.3139 0.5052 0.3986
O103 O 0.2054 0.5041 0.2384
O104 O 0.1808 0.7760 0.8687
O105 O 0.2944 0.3774 0.2418
O106 O 0.1382 0.0782 0.8624
O107 O 0.7179 0.6425 0.9738
O108 O 0.7821 0.1425 0.5262
O109 O 0.2946 0.0041 0.2616
O110 O 0.6879 0.3635 0.6072
O111 O 0.2056 0.8774 0.2582
O112 O 0.3192 0.2240 0.3687
Te1 Te 0.5001 0.9433 0.4359
Te2 Te 0.4959 0.3067 0.5664
Te3 Te 0.0120 0.3115 0.4326
Te4 Te 0.4241 0.0661 0.3114